(To do)
It remains to restate every line underneath that contains the word "Na8".

(Given)
<<<
The following is a DFT calculation (GGA-PBE) of a relaxed structure of CeAlO3.

CIF file:
```
data_CeAlO3
_chemical_formula_sum 'Ce1 Al1 O3'
_symmetry_space_group_name_H-M 'P m -3 m'
_symmetry_Int_Tables_number 221
_symmetry_space_group_name_Hall '-P 4 2 3'
_cell_length_a 3.786
_cell_length_b 3.786
_cell_length_c 3.786
_cell_angle_alpha 90.00
_cell_angle_beta 90.00
_cell_angle_gamma 90.00
loop_
_atom_site_label
_atom_site_fract_x
_atom_site_fract_y
_atom_site_fract_z
Ce1 0.000 0.000 0.000
Al1 0.500 0.500 0.500
O1 0.000 0.500 0.500
```

- crystal system = cubic
- density (g/cm3) = 6.6
- E_tot (eV per cell) = -40.48
- energy relative to the elements (eV per atom) = -3.6040

=====

The following is a DFT calculation (GGA-PBE) of a relaxed structure of Rb2ErCuCl6.

CIF file:
```
data_Rb2ErCuCl6
_chemical_formula_sum 'Rb8 Er4 Cu4 Cl24'
_symmetry_space_group_name_H-M 'F m -3 m'
_symmetry_Int_Tables_number 225
_symmetry_space_group_name_Hall '-F 4 2 3'
_cell_length_a 10.360
_cell_length_b 10.360
_cell_length_c 10.360
_cell_angle_alpha 90.00
_cell_angle_beta 90.00
_cell_angle_gamma 90.00
loop_
_atom_site_label
_atom_site_fract_x
_atom_site_fract_y
_atom_site_fract_z
Rb1 0.250 0.250 0.250
Er1 0.000 0.000 0.000
Cu1 0.000 0.000 0.500
Cl1 0.000 0.000 0.252
```

- crystal system = cubic
- density (g/cm3) = 3.7
- magnetic moment (μB per cell) = 0.01
- E_tot (eV per cell) = -157.68
- energy relative to the elements (eV per atom) = -2.1386

=====

The following is a DFT calculation (GGA-PBE) of a relaxed structure of Na3LaSi3Sn3S3O24.

CIF file:
```
data_Na3LaSi3Sn3S3O24
_chemical_formula_sum 'Na9 La3 Si9 Sn9 S9 O72'
_symmetry_space_group_name_H-M 'P 1'
_symmetry_Int_Tables_number 1
_cell_length_a 9.024
_cell_length_b 9.027
_cell_length_c 23.369
_cell_angle_alpha 89.92
_cell_angle_beta 89.36
_cell_angle_gamma 60.51
loop_
_symmetry_equiv_pos_as_xyz
'x,y,z'
loop_
_atom_site_label
_atom_site_fract_x
_atom_site_fract_y
_atom_site_fract_z
Na1 0.000 0.000 0.000
Na2 0.003 0.630 0.246
Na3 0.012 0.264 0.485
Na4 0.025 0.612 0.743
Na5 0.331 0.333 0.661
Na6 0.354 0.969 0.403
Na7 0.358 0.981 0.910
Na8 0.659 0.302 0.575
Na9 0.692 0.279 0.076
La1 0.017 0.620 0.599
La2 0.667 0.274 0.417
La3 0.670 0.286 0.928
Si1 0.019 0.330 0.998
Si2 0.043 0.239 0.662
Si3 0.058 0.947 0.157
Si4 0.310 0.315 0.495
Si5 0.356 0.668 0.662
Si6 0.371 0.289 0.823
Si7 0.678 0.971 0.322
Si8 0.724 0.895 0.994
Si9 0.982 0.286 0.326
Sn1 0.000 0.630 0.096
Sn2 0.012 0.603 0.892
Sn3 0.012 0.607 0.387
Sn4 0.331 0.961 0.559
Sn5 0.332 0.965 0.760
Sn6 0.334 0.960 0.259
Sn7 0.344 0.967 0.057
Sn8 0.666 0.306 0.723
Sn9 0.712 0.257 0.227
S1 0.023 0.913 0.490
S2 0.291 0.632 0.996
S3 0.348 0.253 0.159
S4 0.376 0.589 0.320
S5 0.624 0.967 0.662
S6 0.632 0.660 0.159
S7 0.676 0.597 0.823
S8 0.703 0.636 0.492
S9 0.979 0.981 0.824
O1 0.003 0.441 0.055
O2 0.005 0.456 0.326
O3 0.022 0.427 0.662
O4 0.034 0.812 0.438
O5 0.037 0.775 0.153
O6 0.050 0.405 0.938
O7 0.120 0.137 0.600
O8 0.144 0.975 0.098
O9 0.155 0.956 0.817
O10 0.166 0.116 0.315
O11 0.175 0.418 0.440
O12 0.177 0.153 0.713
O13 0.177 0.921 0.211
O14 0.182 0.466 0.829
O15 0.188 0.918 0.492
O16 0.189 0.136 0.999
O17 0.191 0.655 0.943
O18 0.192 0.640 0.664
O19 0.193 0.421 0.153
O20 0.203 0.605 0.326
O21 0.209 0.610 0.047
O22 0.229 0.408 0.555
O23 0.299 0.793 0.999
O24 0.311 0.127 0.497
O25 0.320 0.171 0.210
O26 0.345 0.772 0.719
O27 0.352 0.116 0.817
O28 0.355 0.761 0.311
O29 0.382 0.145 0.107
O30 0.382 0.752 0.602
O31 0.462 0.487 0.993
O32 0.464 0.473 0.270
O33 0.465 0.316 0.764
O34 0.468 0.530 0.373
O35 0.479 0.257 0.879
O36 0.498 0.291 0.492
O37 0.500 0.274 0.166
O38 0.518 0.940 0.308
O39 0.522 0.472 0.663
O40 0.524 0.989 0.609
O41 0.526 0.768 0.815
O42 0.532 0.740 0.106
O43 0.532 0.791 0.496
O44 0.536 0.906 0.001
O45 0.542 0.946 0.714
O46 0.553 0.768 0.210
O47 0.621 0.081 0.379
O48 0.631 0.129 0.666
O49 0.645 0.489 0.165
O50 0.649 0.527 0.875
O51 0.690 0.479 0.487
O52 0.706 0.083 0.992
O53 0.707 0.483 0.772
O54 0.713 0.066 0.267
>>>

(Result)
Na8 0.659 0.302 0.575